Neuropathic pain is an uncomfortable condition. The common approach for conventional medicine
is pharmacological drugs. Some patients find relief while others look beyond medication when they
don’t get the relief they want. New
realizations are indicating an inflammation/gut connection
that may play a role. Nutritional supplements come into play for these Carrolltown neuropathy pain
sufferers. Gormish Chiropractic & Rehabilitation as a member of their healthcare team shares some new
studies on the effectiveness of these additional nutritional options.
Neuropathic pain affects 7 to 10% of the population. Usual
treatment options include tricyclic antidepressant drugs,
serotonin-noradrenaline reuptake inhibitors, and anticonvulsants. For many
patients, these approaches do not
always fulfill their expectations, so
they turn to nonpharmacologic treatments like nutritional
supplements. Many try vitamins B and D, zinc, magnesium, and St. John’s
wart and curcumin. (1) In a recent rat study, the antinociceptive effect
of biotin (a B vitamin, namely B7) on neuropathic
pain was evaluated and confirmed it as a potential
therapy for neuropathic pain. The study documented that biotin
supplementation could reduce the dose required
of analgesic drugs. (2) Other nutritional approaches have been tested
like magnesium, ALA, and GLA but need to be carefully utilized
in certain patients with specific conditions (like renal dysfunction).
Again, Vitamin B supplementation was shown to be well tolerated and
to be more successful in relieving neuropathic pain than meds
alone. (3) Gormish Chiropractic & Rehabilitation will mix options to help patients find pain relief.
Combinations of treatments often do
more than one. For neuropathy, combining the knowledge
that metabolic syndrome and neuropathy are linked with lifestyle changes, researchers found that lifestyle
and diet interventions help handle
neuropathy. Since the gut microbiome and inflammation affect
neuropathy, researchers studied and found value
in exercise, nutrition, supplements, acupuncture and mindfulness-based practices
in neuropathy care. (4) One study specifically mixed
mindfulness with vitamin D to see how it affected the
lives of diabetic neuropathy patients. It worked! The
combination decreased pain severity and disability which improved
their quality of life. (5) At Gormish Chiropractic & Rehabilitation we insert gentle
spinal manipulation via the Cox® Technic System of Spinal Pain Management into
the mix to help manage relief.
CONTACT Gormish Chiropractic & Rehabilitation
Listen to this PODCAST
with Dr. Silke Laub on The
Back Doctors Podcast with Dr. Michael Johnson as she
~~~
1.
DFT (GGA-PBE) results for crystalline CePm2Y3N6 at its relaxed geometry.

a = 7.893 Å, b = 7.893 Å, c = 7.081 Å
α = 102.93°, β = 102.93°, γ = 25.91°
Fractional coordinates of all 12 atoms:
Ce 0.000 0.000 0.000
Pm 0.333 0.333 0.665
Pm 0.667 0.667 0.335
Y 0.000 0.000 0.500
Y 0.333 0.333 0.168
Y 0.667 0.667 0.832
N 0.164 0.164 0.075
N 0.164 0.164 0.588
N 0.498 0.498 0.246
N 0.502 0.502 0.754
N 0.836 0.836 0.412
N 0.836 0.836 0.925

Computed properties:
The total energy comes out at -8.641 eV per atom.

***

2.
DFT (GGA-PBE) results for crystalline Ce3Pm2YN6 at its relaxed geometry.

a = 6.181 Å, b = 6.181 Å, c = 6.168 Å
α = 99.62°, β = 99.62°, γ = 119.99°
Fractional coordinates of all 12 atoms:
Ce 0.000 0.000 0.000
Ce 0.334 0.666 0.000
Ce 0.666 0.334 0.000
Pm 0.167 0.833 0.500
Pm 0.833 0.167 0.500
Y 0.500 0.500 0.500
N 0.088 0.414 0.242
N 0.260 0.260 0.759
N 0.414 0.088 0.242
N 0.586 0.912 0.758
N 0.740 0.740 0.241
N 0.912 0.586 0.758

Computed properties:
The total energy comes out at -8.496 eV per atom.

***

3.
DFT (GGA-PBE) results for crystalline Ce2PmY3N6 at its relaxed geometry.

a = 6.114 Å, b = 6.114 Å, c = 6.109 Å
α = 99.59°, β = 99.59°, γ = 120.01°
Fractional coordinates of all 12 atoms:
Ce 0.167 0.833 0.000
Ce 0.833 0.167 0.000
Pm 0.500 0.500 0.000
Y 0.000 0.000 0.500
Y 0.333 0.667 0.500
Y 0.667 0.333 0.500
N 0.075 0.416 0.749
N 0.244 0.244 0.253
N 0.416 0.075 0.749
N 0.584 0.925 0.251
N 0.756 0.756 0.747
N 0.925 0.584 0.251

Computed properties:
The total energy comes out at -8.752 eV per atom.

***

4.
DFT (GGA-PBE) results for crystalline Ce2Pm3YN6 at its relaxed geometry.

a = 6.183 Å, b = 6.183 Å, c = 6.189 Å
α = 99.57°, β = 99.57°, γ = 120.01°
Fractional coordinates of all 12 atoms:
Ce 0.167 0.833 0.000
Ce 0.833 0.167 0.000
Pm 0.000 0.000 0.500
Pm 0.334 0.666 0.500
Pm 0.666 0.334 0.500
Y 0.500 0.500 0.000
N 0.085 0.421 0.763
N 0.244 0.244 0.239
N 0.421 0.085 0.763
N 0.579 0.915 0.237
N 0.756 0.756 0.761
N 0.915 0.579 0.237

Computed properties:
The total energy comes out at -8.395 eV per atom.

***

5.
DFT (GGA-PBE) results for crystalline CePmY2N4 at its relaxed geometry.

a = 6.109 Å, b = 3.536 Å, c = 6.114 Å
α = 90.00°, β = 109.32°, γ = 90.00°
Fractional coordinates of all 8 atoms:
Ce 0.000 0.000 0.000
Pm 0.000 0.500 0.500
Y 0.500 0.000 0.500
Y 0.500 0.500 0.000
N 0.252 0.500 0.246
N 0.253 0.000 0.758
N 0.747 0.000 0.242
N 0.748 0.500 0.754

Computed properties:
The total energy comes out at -8.694 eV per atom.

***

6.
DFT (GGA-PBE) results for crystalline CePmZnN3 at its relaxed geometry.

a = 7.178 Å, b = 3.450 Å, c = 7.558 Å
α = 90.00°, β = 97.21°, γ = 90.00°
Fractional coordinates of all 12 atoms:
Ce 0.191 0.250 0.176
Ce 0.809 0.750 0.824
Pm 0.185 0.250 0.637
Pm 0.815 0.750 0.363
Zn 0.404 0.750 0.902
Zn 0.596 0.250 0.098
N 0.125 0.750 0.868
N 0.148 0.750 0.392
N 0.466 0.750 0.180
N 0.534 0.250 0.820
N 0.852 0.250 0.608
N 0.875 0.250 0.132

Computed properties:
The total energy comes out at -7.022 eV per atom.

***

7.
~~~
describes how chiropractic care can boost
traditional treatments of diseases to ease patients’ pain.
Schedule your Carrolltown chiropractic appointment
today. The pain of neuropathy inspires its sufferers
to find relief. The usual approach of medication is one
method. If it does not deliver the relief you desire,
let us talk about some other approaches to try. Your
pain relief and quality of life are vital to Gormish Chiropractic & Rehabilitation!